[CrashReport] Crash on FMaterialEditor::OnCanPromoteToParameter()

UE - Rendering Architecture - Materials - Jun 22, 2017

This is a common crash in the 4.16 release (affecting Windows and Mac). A log file is attached. Users have not provided descriptions so additional information is not currently available. Windows C ...

_Inserted here: calculated crystals_
- - -
(1)
Density functional theory data (GGA-PBE) for a relaxed structure of SmDyGa2Br2.

The space group is P3m1 (No. 156) and the conventional cell measures 4.1588, 4.1588 and 11.3515 Å, with angles of 90.00, 90.00 and 120.00 degrees. The asymmetric unit holds Sm at (0.0000, 0.0000, 0.0000), Dy at (0.0000, 0.0000, 0.3649), Ga at (0.3333, 0.6667, 0.2149), Ga at (0.6667, 0.3333, 0.1558), Br at (0.3333, 0.6667, 0.8406) and Br at (0.6667, 0.3333, 0.5181).

The calculation puts the calculated total energy at -4.352 eV per atom.

---

(2)
Density functional theory data (GGA-PBE) for a relaxed structure of LiFeNiSb.

The space group is F-43m (No. 216) and the conventional cell measures 5.933, 5.933 and 5.933 Å, with angles of 90.00, 90.00 and 90.00 degrees. The asymmetric unit holds Li at (0.000, 0.000, 0.000), Fe at (0.250, 0.250, 0.750), Ni at (0.000, 0.000, 0.500) and Sb at (0.250, 0.250, 0.250).

The calculation puts the calculated total energy at -4.975 eV per atom.

---

(3)
Density functional theory data (GGA-PBE) for a relaxed structure of Gd3Be3W2.

The space group is P2/m (No. 10) and the conventional cell measures 2.958, 4.318 and 12.790 Å, with angles of 90.00, 96.28 and 90.00 degrees. The asymmetric unit holds Gd at (0.000, 0.000, 0.000), Gd at (0.415, 0.500, 0.369), Be at (0.429, 0.000, 0.794), Be at (0.500, 0.500, 0.000) and W at (0.066, 0.500, 0.833).

The calculation puts the calculated total energy at -5.830 eV per atom.

---

What is the calculated total energy in the first record?
-4.352 eV per atom

---

What is the calculated total energy in the first record?
-4.352 eV per atom

---

Among the records above, which one has the lowest calculated total energy?
Gd3Be3W2

---

Among the records above, which one has the lowest calculated total energy?
Gd3Be3W2

~~~~~

Density functional theory data (PBE) for a relaxed AcSn8Pd4 crystal.

Its crystal system is tetragonal. For the size of the total moment, the calculation gives 0.000 μB/f.u. The total energy is -61.51 eV per cell. For the formation energy, the calculation gives -354 meV per atom.

Cell: 7.638 7.638 7.638 Å, 99.17 99.17 132.94°
Positions (direct):
1 Ac 0.000 0.000 0.000
2 Sn 0.000 0.342 0.342
3 Sn 0.000 0.658 0.658
4 Sn 0.283 0.500 0.783
5 Sn 0.342 0.000 0.342
6 Sn 0.500 0.283 0.783
7 Sn 0.500 0.717 0.217
8 Sn 0.658 0.000 0.658
9 Sn 0.717 0.500 0.217
10 Pd 0.000 0.000 0.500
11 Pd 0.000 0.500 0.000
12 Pd 0.500 0.000 0.000
13 Pd 0.500 0.500 0.500

~~~~~

Here is crystalline MgTc2Pt at its relaxed geometry from Alexandria via LeMat-Bulk. Energies are from GGA-PBE.

Properties
The value obtained for the energy of formation is 0.44 eV per formula unit.

Cell: 2.6964 2.6964 8.5332 Å, 90.00 90.00 90.00°
Space group P4/mmm (No. 123)
One atom of each set of equivalent atoms:
Mg  0.0000  0.0000  0.0000
Tc  0.5000  0.5000  0.2589
Pt  0.0000  0.0000  0.5000

---

Here is crystalline RbCd12Sn6 at its relaxed geometry from Alexandria via LeMat-Bulk. Energies are from GGA-PBE.

Properties
- - -
_So much for the calculated crystals_

Spin Box delta does not appear to affect how the spin box increments through its values when clicking and dragging with the mouse

UE - Editor - UI Systems - May 12, 2017

Spin Box delta does not appear to affect how the spin box increments through its values when clicking and dragging with the mouse. The spin box appears to increment/decrement by more or less dependi ...

(Next to the entry, the page also holds records of crystals)
'''
DFT (SCAN) results for a crystal of Na2CrReBr relaxed with PBEsol.

Summary:
Energy relative to the elements, uncorrected in kJ/mol of formula units: 567.0

```
5
Lattice="5.0706 0.0000 0.0000 0.0000 5.0005 0.0000 0.0000 0.0000 5.0005" Properties=species:S:1:pos:R:3 pbc="T T T"
Re 2.5353 2.5002 2.5002
Na 0.0000 0.0000 2.5002
Na 0.0000 2.5002 0.0000
Br 0.0000 0.0000 0.0000
Cr 2.5353 0.0000 0.0000
```

DFT (SCAN) results for a crystal of NbCr3Br relaxed with PBEsol.

Summary:
Energy relative to the elements, uncorrected in kJ/mol of formula units: 657.4

```
5
Lattice="4.2591 0.0000 0.0000 0.0000 4.2591 0.0000 0.0000 0.0000 4.2591" Properties=species:S:1:pos:R:3 pbc="T T T"
Cr 0.0000 2.1295 0.0000
Cr 0.0000 0.0000 2.1295
Cr 2.1295 0.0000 0.0000
Nb 2.1295 2.1295 2.1295
Br 0.0000 0.0000 0.0000
```

DFT (SCAN) results for a crystal of CrNi2Br relaxed with PBEsol.

Summary:
Energy relative to the elements, uncorrected in kJ/mol of formula units: 252.6

```
4
Lattice="3.6796 0.0000 0.0000 0.0000 3.6796 0.0000 -1.8398 -1.8398 3.8908" Properties=species:S:1:pos:R:3 pbc="T T T"
Br 1.8398 1.8398 0.0000
Cr 0.0000 0.0000 0.0000
Ni 1.8398 0.0000 1.9454
Ni 0.0000 1.8398 1.9454
```

DFT (SCAN) results for a crystal of CrNiBr4 relaxed with PBEsol.

Summary:
Energy relative to the elements, uncorrected in kJ/mol of formula units: 620.0

```
6
Lattice="-1.7987 -5.4803 -1.6550 1.5951 -2.1921 -5.3533 3.9716 -4.4852 -0.3431" Properties=species:S:1:pos:R:3 pbc="T T T"
Br 1.4118 -4.5554 -2.7545
Br 3.4025 -6.8034 -2.9265
Br 0.5103 -7.3022 -3.5841
Br 2.2114 -5.6541 -5.4378
Cr 2.8260 -9.1182 -5.5136
Ni 0.0000 0.0000 0.0000
```

DFT (SCAN) results for a crystal of CrNiPBr2 relaxed with PBEsol.

Summary:
Energy relative to the elements, uncorrected in kJ/mol of formula units: 321.8

```
5
Lattice="-3.3991 0.4540 2.9781 1.1458 -3.9577 1.9111 3.1337 2.4538 3.2026" Properties=species:S:1:pos:R:3 pbc="T T T"
Ni 0.0000 0.0000 0.0000
P 0.4402 -0.5250 4.0459
Br 0.5729 -1.9789 0.9556
Br -1.6995 0.2270 1.4890
Cr 1.5668 1.2269 1.6013
```

DFT (SCAN) results for a crystal of CrBr2O relaxed with PBEsol.

Summary:
Energy relative to the elements, uncorrected in kJ/mol of formula units: 80.8

```
4
Lattice="-2.6397 0.3877 3.5948 1.3339 -1.6444 3.9443 1.1317 2.7837 3.3183" Properties=species:S:1:pos:R:3 pbc="T T T"
Cr -0.0870 0.7635 5.4288
O 0.0000 0.0000 0.0000
Br -0.0435 0.3817 2.7144
Br -0.1305 1.1452 8.1431
```

DFT (SCAN) results for a crystal of Cr2PBrO4 relaxed with PBEsol.

Summary:
Energy relative to the elements, uncorrected in kJ/mol of formula units: -1605.4

```
32
Lattice="-0.8343 6.1481 -0.4318 -6.2167 -0.9935 0.7939 1.3079 0.9832 11.4722" Properties=species:S:1:pos:R:3 pbc="T T T"
Cr -1.0575 0.5227 10.4661
Cr -1.8347 3.3261 7.0921
Cr 0.1921 1.3089 4.5121
Cr -0.6094 4.0940 0.9251
Cr -4.6856 5.6150 1.3681
Cr -3.9084 2.8116 4.7422
Cr -5.1337 2.0437 10.9092
Cr -5.9352 4.8288 7.3221
Br -2.2298 6.2074 7.5794
Br -1.6066 3.2882 9.6025
Br -4.1365 2.8495 2.2317
'''

Creating an HLOD with a FallbackMesh that has a section with triangles=0 will incorrectly set the UVs of the StaticMesh

UE - World Creation - Worldbuilding Tools - HLOD - Sep 11, 2024

The UVs in HLOD's StaticMesh appear to be broken when there are sections with zero triangles in the fallback mesh. This is most likely the case for sections containing only small parts. Workaroun ...

Changing preview mesh appears to affect initial transforms of all control rigs in level viewport

UE - Anim - Rigging - Control Rig - Apr 16, 2024

It seems that switching the preview mesh in the control rig editor is affecting the initial transforms in the hiearchies of related control rigs in the level viewport.  This seems to be due to the c ...

Preview weight on Landscape Layer Sample affects Grass Output on landscape disregarding layer info

UE - LD & Modeling - Terrain - Landscape - May 10, 2022

Preview weight on Landscape Layer Sample affects Grass Output on landscape disregarding layer info Repro Rate: 3/3 Tested this in //UE4/Release-4.27 @ CL#18319896 and the issue did NOT occur there ...

Metasounds - Using the Audio Component Play Node with a start timer other than 0 results in the Metasound ceasing to function

UE - Audio - MetaSounds - Dec 2, 2021

Metasounds cease functionality if called to Play with a different start time other than 0. This extends to the Metasound editor where pressing play to preview the sound also ceases to function. ...

Particle Cutout Will Clip Texture On Certain Frames Even With Alpha Threshold of 0.0001

UE - Niagara - Feb 17, 2017

A licensee has reported that the particle cutout feature will sometimes clip the image on some frames despite having an alpha threshold of 0.0001 The attached project has an example of this on the ...

[1]
The following is a DFT calculation (GGA-PBE) of a geometry-optimized BC5 structure.

Cell lengths 5.7156, 5.7156, 3.7025 Å; angles 90.00, 90.00, 143.31 degrees
Last column: nearest neighbours and their distance in Å.
Fractional positions:
B 0.1685 0.8315 0.0000  4 C 1.61-1.62
B 0.8315 0.1685 0.0000  4 C 1.61-1.62
C 0.0000 0.0000 0.5000  4 C 1.56
C 0.0000 0.5000 0.2693  2 C 1.54, 2 B 1.61
C 0.1736 0.3359 0.7442  3 C 1.56-1.57, 1 B 1.62
C 0.3338 0.6662 0.5000  4 C 1.54-1.56
C 0.3359 0.1736 0.2558  3 C 1.56-1.57, 1 B 1.62
C 0.5000 0.0000 0.7307  2 C 1.54, 2 B 1.61
C 0.5000 0.5000 0.0000  4 C 1.57
C 0.6641 0.8264 0.2558  3 C 1.56-1.57, 1 B 1.62
C 0.6662 0.3338 0.5000  4 C 1.54-1.56
C 0.8264 0.6641 0.7442  3 C 1.56-1.57, 1 B 1.62

Values from the calculation:
Crystal system = orthorhombic
Space group = C222 (21)
Polymorph energy (0 for the lowest one) = 78 meV per atom
Volume = 36.1 Å³/f.u.
Electronic total energy = -102.15 eV/cell


[2]
The following is a DFT calculation (GGA-PBE) of a geometry-optimized TaBe3Se structure.

Cell lengths 4.1913, 4.1913, 4.1913 Å; angles 90.00, 90.00, 90.00 degrees
Last column: nearest neighbours and their distance in Å.
Fractional positions:
Ta 0.0000 0.0000 0.0000  12 Be 2.96
Be 0.0000 0.5000 0.5000  2 Se 2.10
Be 0.5000 0.0000 0.5000  2 Se 2.10
Be 0.5000 0.5000 0.0000  2 Se 2.10
Se 0.5000 0.5000 0.5000  6 Be 2.10

Values from the calculation:
Uncorrected formation energy = 5.94 eV per formula unit
Crystal system = cubic
Space group = Pm-3m (221)
Polymorph energy (0 for the lowest one) = 0 meV per atom
Volume = 73.6 Å³/f.u.
Electronic total energy = -20.58 eV/cell


[3]
The following is a DFT calculation (GGA-PBE) of a geometry-optimized Tl2OsI structure.

Cell lengths 8.7224, 8.7224, 8.7224 Å; angles 136.04, 136.04, 63.92 degrees
Last column: nearest neighbours and their distance in Å.
Fractional positions:
Tl 0.0153 0.6250 0.8903  2 Os 2.63
Tl 0.3750 0.2653 0.3903  2 Os 2.63
Tl 0.7347 0.1250 0.1097  2 Os 2.63
Tl 0.8750 0.9847 0.6097  2 Os 2.63
Os 0.0000 0.0000 0.0000  4 Tl 2.63
Os 0.7500 0.2500 0.5000  4 Tl 2.63
I 0.2500 0.7500 0.5000  4 Tl 3.41
I 0.5000 0.5000 0.0000  4 Tl 3.41

Values from the calculation:
Uncorrected formation energy = 3.67 eV per formula unit
Crystal system = tetragonal
Space group = I-42d (122)
Polymorph energy (0 for the lowest one) = 0 meV per atom
Volume = 157.8 Å³/f.u.
Electronic total energy = -27.68 eV/cell


[4]
The following is a DFT calculation (GGA-PBE) of a geometry-optimized Cd3HgBr structure.

Cell lengths 6.1571, 6.1571, 6.1571 Å; angles 90.00, 90.00, 90.00 degrees
Last column: nearest neighbours and their distance in Å.
Fractional positions:
Cd 0.0000 0.0000 0.5000  2 Br 3.08
Cd 0.0000 0.5000 0.0000  2 Br 3.08
Cd 0.5000 0.0000 0.0000  2 Br 3.08
Hg 0.5000 0.5000 0.5000  12 Cd 4.35
Br 0.0000 0.0000 0.0000  6 Cd 3.08

Values from the calculation:
Uncorrected formation energy = 1.58 eV per formula unit
Crystal system = cubic
Space group = Pm-3m (221)

Static mesh Viewer Camera Appears to be tilted after setting the orbit pitch to 90 and Orbit yaw to 0

Tools - Nov 21, 2016

Static mesh Viewer Camera Appears to be tilted after setting the orbit pitch to 90 and Orbit yaw to 0. The camera becomes tilted and does not rotate around the static mesh as it does by default Not ...